## Input
____________
Record 1
The following is a DFT calculation (ωB97M-V/def2-TZVPD) of a 10-piece molecular cluster, C76H178N10O3 overall in a non-equilibrium geometry.

Spin multiplicity   2
HOMO energy (alpha / beta)   -0.690 / -0.873 Ha
Relative energy (zero: lowest compared OMol25 entry of this formula, charge and spin)   0.000 eV
Electronic energy   -102625.9063 eV
Charge   +9
Kohn-Sham gap (alpha / beta)   0.1124 / 0.2863 Ha

```
267
Properties=species:S:1:pos:R:3:forces:R:3:lowdin_spin:R:1
C -3.127 5.503 3.075 0.31 0.75 0.61 0.0001
C -3.796 4.874 1.861 1.20 0.30 0.61 0.0002
C -4.862 3.906 2.328 -0.88 0.94 -0.86 0.0002
N -5.652 3.292 1.179 1.09 1.00 0.69 0.0004
C -4.651 2.336 0.450 -2.17 0.83 0.82 0.0020
C -6.896 2.586 1.749 1.61 -0.95 -0.44 0.0000
C -7.825 2.515 0.575 -0.68 -0.25 0.22 0.0000
C -7.359 3.605 -0.402 -0.64 -0.96 -1.73 0.0000
C -6.277 4.391 0.215 1.17 -0.31 2.19 0.0001
H -3.821 6.102 3.664 -0.21 -0.50 0.36 0.0000
H -2.371 6.258 2.861 0.06 -0.11 -0.73 0.0000
H -2.580 4.769 3.668 -0.40 -0.12 0.34 0.0001
H -2.960 4.394 1.352 -0.22 -0.24 -0.56 0.0002
H -4.170 5.706 1.266 -0.27 -0.34 -0.22 0.0000
H -5.594 4.504 2.871 -0.01 -0.20 0.30 0.0000
H -4.505 3.090 2.956 0.10 0.09 0.00 0.0004
H -4.227 1.664 1.196 0.00 0.16 0.15 0.0018
H -3.883 2.977 0.017 -0.28 -0.32 -0.29 0.0004
H -5.278 1.747 -0.220 0.46 0.17 -0.46 0.0006
H -6.431 1.632 1.995 -0.61 -0.34 0.34 0.0000
H -7.334 2.992 2.661 0.56 0.72 -0.17 0.0000
H -7.765 1.490 0.208 -0.18 0.23 -0.66 0.0001
H -8.865 2.671 0.863 0.11 0.00 0.11 0.0000
H -6.890 3.122 -1.259 -0.37 -0.08 -0.35 0.0000
H -8.214 4.166 -0.780 0.28 0.25 0.06 0.0000
H -5.478 4.812 -0.395 -0.27 -0.28 -0.26 0.0000
H -6.587 5.170 0.911 -0.24 0.03 -0.03 0.0000
C 3.056 5.408 -0.397 0.78 -0.59 -0.58 0.0004
C 4.274 4.916 0.450 -1.25 0.70 -0.95 0.0005
C 4.792 3.560 -0.083 0.85 1.48 1.26 0.0074
N 6.166 3.244 0.539 0.30 0.75 2.00 0.0003
C 5.896 2.857 2.038 0.55 -0.15 -1.12 0.0028
C 7.193 4.453 0.440 0.00 -0.11 -0.16 0.0003
C 8.571 3.821 0.247 -0.41 -1.44 -0.54 0.0001
C 8.231 2.665 -0.752 -1.15 1.20 0.96 0.0003
C 6.915 2.131 -0.158 -0.10 -0.80 -0.62 0.0065
H 2.098 4.908 -0.253 -0.01 0.09 0.69 0.0004
H 3.282 5.162 -1.435 0.18 0.37 -0.30 0.0001
H 2.972 6.493 -0.331 -0.31 -0.16 0.07 0.0000
H 3.933 4.964 1.484 0.40 -0.58 0.23 0.0001
H 4.993 5.725 0.319 0.28 -0.31 0.09 0.0002
H 4.930 3.621 -1.162 0.03 -0.10 0.05 0.0002
H 4.058 2.808 0.209 0.37 -0.47 -0.24 0.0126
H 5.129 2.083 2.035 0.06 0.00 -0.15 0.0068
H 5.558 3.687 2.659 0.16 0.18 -0.44 0.0001
H 6.811 2.425 2.444 0.00 0.25 -0.04 0.0001
H 7.105 5.071 1.334 -0.15 -0.11 -0.16 0.0000
H 6.883 4.994 -0.454 0.07 0.15 0.10 0.0000
H 8.923 3.431 1.202 0.10 -0.14 0.01 0.0000
H 9.403 4.377 -0.186 -0.50 0.75 0.19 0.0000
H 9.029 1.934 -0.886 -0.30 -0.01 0.01 0.0000
H 7.907 3.115 -1.690 0.76 0.03 -0.32 0.0000
H 7.146 1.334 0.549 -0.51 -0.06 -0.08 0.0018
H 6.202 1.864 -0.938 0.34 -0.88 0.06 0.0046
C 1.682 4.479 -3.967 -0.21 -0.76 -1.25 0.0007
N 1.452 3.141 -4.723 -0.09 0.93 0.28 0.0006
C 0.140 2.448 -4.311 1.39 0.71 -0.58 0.0046
C 1.371 3.389 -6.235 -0.38 0.85 0.63 0.0003
C 2.655 2.253 -4.517 -0.33 -0.40 -0.22 0.0047
C 2.966 1.822 -3.073 -0.22 -0.31 -1.40 0.0230
O 1.944 0.982 -2.506 0.02 1.29 -0.78 0.0901
H 1.873 4.313 -2.906 -0.20 -0.17 -0.24 0.0009
H 0.819 5.124 -4.133 0.03 -0.11 0.09 0.0001
H 2.552 4.916 -4.458 -0.01 0.15 0.22 0.0001
H 0.217 1.521 -4.879 -0.54 -0.21 0.48 0.0010
H -0.686 3.065 -4.666 0.08 -0.04 0.04 0.0003
H 0.133 2.324 -3.229 0.01 -0.18 -0.29 0.0031
H 0.978 2.489 -6.707 0.34 0.10 -0.03 0.0001
H 2.325 3.738 -6.630 0.14 -0.48 0.13 0.0001
H 0.693 4.223 -6.417 -0.27 -0.16 0.13 0.0001
H 3.507 2.745 -4.987 0.13 0.52 0.54 0.0008
H 2.521 1.451 -5.242 -0.25 -0.62 0.53 0.0012
H 3.185 2.724 -2.501 -0.13 -0.15 0.38 0.0036
H 3.884 1.245 -3.189 0.18 0.04 0.23 0.0111
H 2.400 0.397 -1.896 0.31 -0.67 0.68 0.0853
C 4.148 -4.581 -0.787 -0.31 0.10 2.06 0.0165
N 3.485 -5.231 0.477 -0.52 -0.19 -0.34 0.0026
C 4.606 -5.997 1.240 -1.10 -0.41 -1.33 0.0011
C 2.867 -4.187 1.411 -0.05 -0.44 -0.78 0.0320
____________

## Exercise
Now echo the whole of the entries further up unchanged.

## Here it is
Record 1
The following is a DFT calculation (ωB97M-V/def2-TZVPD) of a 10-piece molecular cluster, C76H178N10O3 overall in a non-equilibrium geometry.

Spin multiplicity   2
HOMO energy (alpha / beta)   -0.690 / -0.873 Ha
Relative energy (zero: lowest compared OMol25 entry of this formula, charge and spin)   0.000 eV
Electronic energy   -102625.9063 eV
Charge   +9
Kohn-Sham gap (alpha / beta)   0.1124 / 0.2863 Ha

```
267
Properties=species:S:1:pos:R:3:forces:R:3:lowdin_spin:R:1
C -3.127 5.503 3.075 0.31 0.75 0.61 0.0001
C -3.796 4.874 1.861 1.20 0.30 0.61 0.0002
C -4.862 3.906 2.328 -0.88 0.94 -0.86 0.0002
N -5.652 3.292 1.179 1.09 1.00 0.69 0.0004
C -4.651 2.336 0.450 -2.17 0.83 0.82 0.0020
C -6.896 2.586 1.749 1.61 -0.95 -0.44 0.0000
C -7.825 2.515 0.575 -0.68 -0.25 0.22 0.0000
C -7.359 3.605 -0.402 -0.64 -0.96 -1.73 0.0000
C -6.277 4.391 0.215 1.17 -0.31 2.19 0.0001
H -3.821 6.102 3.664 -0.21 -0.50 0.36 0.0000
H -2.371 6.258 2.861 0.06 -0.11 -0.73 0.0000
H -2.580 4.769 3.668 -0.40 -0.12 0.34 0.0001
H -2.960 4.394 1.352 -0.22 -0.24 -0.56 0.0002
H -4.170 5.706 1.266 -0.27 -0.34 -0.22 0.0000
H -5.594 4.504 2.871 -0.01 -0.20 0.30 0.0000
H -4.505 3.090 2.956 0.10 0.09 0.00 0.0004
H -4.227 1.664 1.196 0.00 0.16 0.15 0.0018
H -3.883 2.977 0.017 -0.28 -0.32 -0.29 0.0004
H -5.278 1.747 -0.220 0.46 0.17 -0.46 0.0006
H -6.431 1.632 1.995 -0.61 -0.34 0.34 0.0000
H -7.334 2.992 2.661 0.56 0.72 -0.17 0.0000
H -7.765 1.490 0.208 -0.18 0.23 -0.66 0.0001
H -8.865 2.671 0.863 0.11 0.00 0.11 0.0000
H -6.890 3.122 -1.259 -0.37 -0.08 -0.35 0.0000
H -8.214 4.166 -0.780 0.28 0.25 0.06 0.0000
H -5.478 4.812 -0.395 -0.27 -0.28 -0.26 0.0000
H -6.587 5.170 0.911 -0.24 0.03 -0.03 0.0000
C 3.056 5.408 -0.397 0.78 -0.59 -0.58 0.0004
C 4.274 4.916 0.450 -1.25 0.70 -0.95 0.0005
C 4.792 3.560 -0.083 0.85 1.48 1.26 0.0074
N 6.166 3.244 0.539 0.30 0.75 2.00 0.0003
C 5.896 2.857 2.038 0.55 -0.15 -1.12 0.0028
C 7.193 4.453 0.440 0.00 -0.11 -0.16 0.0003
C 8.571 3.821 0.247 -0.41 -1.44 -0.54 0.0001
C 8.231 2.665 -0.752 -1.15 1.20 0.96 0.0003
C 6.915 2.131 -0.158 -0.10 -0.80 -0.62 0.0065
H 2.098 4.908 -0.253 -0.01 0.09 0.69 0.0004
H 3.282 5.162 -1.435 0.18 0.37 -0.30 0.0001
H 2.972 6.493 -0.331 -0.31 -0.16 0.07 0.0000
H 3.933 4.964 1.484 0.40 -0.58 0.23 0.0001
H 4.993 5.725 0.319 0.28 -0.31 0.09 0.0002
H 4.930 3.621 -1.162 0.03 -0.10 0.05 0.0002
H 4.058 2.808 0.209 0.37 -0.47 -0.24 0.0126
H 5.129 2.083 2.035 0.06 0.00 -0.15 0.0068
H 5.558 3.687 2.659 0.16 0.18 -0.44 0.0001
H 6.811 2.425 2.444 0.00 0.25 -0.04 0.0001
H 7.105 5.071 1.334 -0.15 -0.11 -0.16 0.0000
H 6.883 4.994 -0.454 0.07 0.15 0.10 0.0000
H 8.923 3.431 1.202 0.10 -0.14 0.01 0.0000
H 9.403 4.377 -0.186 -0.50 0.75 0.19 0.0000
H 9.029 1.934 -0.886 -0.30 -0.01 0.01 0.0000
H 7.907 3.115 -1.690 0.76 0.03 -0.32 0.0000
H 7.146 1.334 0.549 -0.51 -0.06 -0.08 0.0018
H 6.202 1.864 -0.938 0.34 -0.88 0.06 0.0046
C 1.682 4.479 -3.967 -0.21 -0.76 -1.25 0.0007
N 1.452 3.141 -4.723 -0.09 0.93 0.28 0.0006
C 0.140 2.448 -4.311 1.39 0.71 -0.58 0.0046
C 1.371 3.389 -6.235 -0.38 0.85 0.63 0.0003
C 2.655 2.253 -4.517 -0.33 -0.40 -0.22 0.0047
C 2.966 1.822 -3.073 -0.22 -0.31 -1.40 0.0230
O 1.944 0.982 -2.506 0.02 1.29 -0.78 0.0901
H 1.873 4.313 -2.906 -0.20 -0.17 -0.24 0.0009
H 0.819 5.124 -4.133 0.03 -0.11 0.09 0.0001
H 2.552 4.916 -4.458 -0.01 0.15 0.22 0.0001
H 0.217 1.521 -4.879 -0.54 -0.21 0.48 0.0010
H -0.686 3.065 -4.666 0.08 -0.04 0.04 0.0003
H 0.133 2.324 -3.229 0.01 -0.18 -0.29 0.0031
H 0.978 2.489 -6.707 0.34 0.10 -0.03 0.0001
H 2.325 3.738 -6.630 0.14 -0.48 0.13 0.0001
H 0.693 4.223 -6.417 -0.27 -0.16 0.13 0.0001
H 3.507 2.745 -4.987 0.13 0.52 0.54 0.0008
H 2.521 1.451 -5.242 -0.25 -0.62 0.53 0.0012
H 3.185 2.724 -2.501 -0.13 -0.15 0.38 0.0036
H 3.884 1.245 -3.189 0.18 0.04 0.23 0.0111
H 2.400 0.397 -1.896 0.31 -0.67 0.68 0.0853
C 4.148 -4.581 -0.787 -0.31 0.10 2.06 0.0165
N 3.485 -5.231 0.477 -0.52 -0.19 -0.34 0.0026
C 4.606 -5.997 1.240 -1.10 -0.41 -1.33 0.0011
C 2.867 -4.187 1.411 -0.05 -0.44 -0.78 0.0320